# HfPaHg PBE optimized geometry
# - calculated density (Mg/m³) = 14.63
# - distance to the lowest polymorph of the same formula (meV per atom) = 48
data_HfPaHg
_chemical_formula_sum 'Hf2 Pa2 Hg2'
_symmetry_space_group_name_H-M 'P 4/n m m'
_symmetry_Int_Tables_number 129
_cell_length_a 3.144
_cell_length_b 3.144
_cell_length_c 14.009
_cell_angle_alpha 90.00
_cell_angle_beta 90.00
_cell_angle_gamma 90.00
loop_
_symmetry_equiv_pos_as_xyz
'x,y,z'
'-x,-y,-z'
'-y+1/2,x,z'
'y+1/2,-x,-z'
'-x+1/2,-y+1/2,z'
'x+1/2,y+1/2,-z'
'y,-x+1/2,z'
'-y,x+1/2,-z'
'x+1/2,-y,-z'
'-x+1/2,y,z'
'-y,-x,-z'
'y,x,z'
'-x,y+1/2,-z'
'x,-y+1/2,z'
'y+1/2,x+1/2,-z'
'-y+1/2,-x+1/2,z'
loop_
_atom_site_label
_atom_site_fract_x
_atom_site_fract_y
_atom_site_fract_z
Hf1 0.250 0.250 0.239
Pa1 0.250 0.250 0.591
Hg1 0.250 0.250 0.916

----------

(1)
# KAl2GaAu4

A relaxed structure of KAl2GaAu4 (GGA-PBE, Alexandria via LeMat-Bulk). Values from VASP.

Values from the calculation:
Formation energy from the elements   -244 meV per atom
Total magnetic moment   0.000 μB/atom
SG   R-3m (166)

```
&SYSTEM
  ibrav = 0, nat = 8, ntyp = 4
/
ATOMIC_SPECIES
Au 196.97 Au.upf
Al 26.98 Al.upf
K 39.10 K.upf
Ga 69.72 Ga.upf
CELL_PARAMETERS angstrom
-0.319 3.646 2.194
-2.452 3.168 -1.470
-9.711 -1.903 5.902
ATOMIC_POSITIONS crystal
Au 0.131 0.131 0.606
Au 0.406 0.406 0.783
Au 0.594 0.594 0.217
Au 0.869 0.869 0.394
Al 0.238 0.238 0.285
Al 0.762 0.762 0.715
K 0.000 0.000 0.000
Ga 0.500 0.500 0.500
```

***

(2)
# KAl2Ga2Au6

A relaxed structure of KAl2Ga2Au6 (GGA-PBE, Alexandria via LeMat-Bulk). Values from VASP.

Values from the calculation:
Formation energy from the elements   -301 meV per atom
Total magnetic moment   0.000 μB/atom
SG   C2/m (12)

```
&SYSTEM
  ibrav = 0, nat = 11, ntyp = 4
/
ATOMIC_SPECIES
Al 26.98 Al.upf
Au 196.97 Au.upf
Ga 69.72 Ga.upf
K 39.10 K.upf
CELL_PARAMETERS angstrom
-1.113 -4.779 -4.833
-1.345 -8.794 4.099
-3.735 4.319 -3.415
ATOMIC_POSITIONS crystal
Al 0.143 0.714 0.162
Al 0.857 0.286 0.838
Au 0.981 0.038 0.251
Au 0.978 0.481 0.761
Au 0.541 0.481 0.762
Au 0.022 0.519 0.239
Au 0.459 0.519 0.238
Au 0.019 0.962 0.749
Ga 0.805 0.390 0.346
Ga 0.195 0.610 0.654
K 0.500 0.000 0.500
```

***

(3)
# KAlGaAu3

A relaxed structure of KAlGaAu3 (GGA-PBE, Alexandria via LeMat-Bulk). Values from VASP.

Values from the calculation:
Formation energy from the elements   -293 meV per atom
Total magnetic moment   0.000 μB/atom
SG   Cmcm (63)

```
&SYSTEM
  ibrav = 0, nat = 12, ntyp = 4
/
ATOMIC_SPECIES
Au 196.97 Au.upf
Ga 69.72 Ga.upf
K 39.10 K.upf
Al 26.98 Al.upf
CELL_PARAMETERS angstrom
-0.168 0.539 6.682
5.483 -4.289 0.484
1.386 7.384 -0.560
ATOMIC_POSITIONS crystal
Au 0.500 0.727 0.000
Au 0.750 0.780 0.560
Au 0.250 0.220 0.440
Au 0.000 0.273 0.000
Au 0.500 0.273 0.000
Au 0.000 0.727 0.000
Ga 0.750 0.590 0.180
Ga 0.250 0.410 0.820
K 0.750 0.263 0.526
K 0.250 0.737 0.474
Al 0.250 0.032 0.064
Al 0.750 0.968 0.936
```

***

(4)
# LaAlGa2Au

A relaxed structure of LaAlGa2Au (GGA-PBE, Alexandria via LeMat-Bulk). Values from VASP.

Values from the calculation:
Formation energy from the elements   -676 meV per atom
Total magnetic moment   0.000 μB/atom
SG   Imm2 (44)

```
&SYSTEM
  ibrav = 0, nat = 5, ntyp = 4
/
ATOMIC_SPECIES
Au 196.97 Au.upf
Ga 69.72 Ga.upf
La 138.91 La.upf
Al 26.98 Al.upf
CELL_PARAMETERS angstrom
-1.919 0.118 3.895
-3.515 -2.006 -1.671
4.920 -3.943 0.121
ATOMIC_POSITIONS crystal
Au 0.818 0.818 0.637
Ga 0.692 0.192 0.383
Ga 0.050 0.050 0.100
La 0.457 0.457 0.914
Al 0.195 0.695 0.390
```

----------

[1]
Density functional theory data (GGA-PBE) for Hf3Zn4 after structural relaxation.

Unit cell a=7.738 b=7.738 c=4.951 alpha=90.00 beta=90.00 gamma=120.00
Sites, in units of the cell vectors:
Hf  0.060  0.806  0.250
Hf  0.194  0.254  0.250
Hf  0.254  0.060  0.750
Hf  0.746  0.940  0.250
Hf  0.806  0.746  0.750
Hf  0.940  0.194  0.750
Zn  0.104  0.622  0.750
Zn  0.333  0.667  0.250
Zn  0.378  0.482  0.750
Zn  0.482  0.104  0.250
Zn  0.518  0.896  0.750

What is needed: filter the notes further above: keep the lines with the word "gamma".

Unit cell a=7.738 b=7.738 c=4.951 alpha=90.00 beta=90.00 gamma=120.00